Well, that was... good and shit, IMO. Shit for the reasons already mentioned above (fat, poor, mixed race couple = MUST DIE!!!1!!), shit for the lazy death of Kylie (why even bother with all the Astrid = anagram of TARDIS hype if all she was is a one-shot character who dies in a vaguely Pullman-esque bittersweet way?), and shit for the villain being yet another rent-a-cripple Davros knock-off.
(Calculated molecules that have nothing to do with the article)
........
# 1
Entry from the Open Molecules 2025 dataset: a 14-piece molecular cluster, C30H29Cl40F21NO5P2 overall in a non-equilibrium geometry (ωB97M-V with the def2-TZVPD basis set).

Geometry as XYZ:
```
128
Properties=species:S:1:pos:R:3:lowdin_charge:R:1
C 3.763 3.406 4.098 -0.08
C 3.620 3.068 2.598 -0.22
C 2.345 3.593 1.967 -0.38
F 2.763 4.178 0.760 -0.12
P 1.016 2.207 1.585 0.39
O -0.249 3.138 2.167 -0.29
Cl 0.431 2.949 -0.442 0.21
O -0.084 0.893 1.307 -0.31
C 0.508 -0.249 1.798 -0.38
P -0.500 -1.723 1.361 0.53
N -1.897 -1.407 0.778 -0.13
O -0.467 -2.737 2.607 -0.15
O 0.365 -2.445 0.209 -0.16
C 1.148 0.061 3.186 -0.34
C 2.555 -0.576 3.197 -0.08
C 3.403 -0.248 4.431 -0.10
C 3.470 -1.264 5.524 -0.20
F 3.061 -2.533 5.318 0.06
C 3.927 -0.978 6.739 -0.31
F 4.828 -0.046 6.997 0.14
F 3.543 -1.590 7.852 0.13
C 0.409 -0.195 4.516 -0.32
F 0.681 -1.478 4.887 0.11
F 0.926 0.583 5.500 0.14
C -1.144 -0.047 4.638 -0.30
F -1.544 -0.981 5.536 0.14
F -1.779 -0.326 3.489 0.14
C -1.705 1.301 5.193 -0.33
F -1.581 1.258 6.543 0.15
F -1.053 2.383 4.775 0.18
C -3.243 1.462 4.939 -0.32
F -3.645 2.394 5.830 0.14
F -3.889 0.321 5.243 0.16
C -3.682 1.954 3.511 -0.34
F -4.164 3.219 3.610 0.14
F -2.668 1.968 2.666 0.19
C -4.830 1.127 2.854 -0.34
F -4.499 -0.166 2.734 0.16
F -4.958 1.620 1.608 0.17
C -6.225 1.284 3.552 -0.33
F -6.986 2.130 2.823 0.14
F -6.111 1.800 4.788 0.15
C -7.036 -0.028 3.657 -0.56
F -6.449 -0.882 4.489 0.19
F -7.172 -0.585 2.456 0.19
F -8.251 0.262 4.130 0.18
O 1.358 1.467 3.116 -0.21
H 4.678 3.973 4.254 0.06
H 3.863 2.524 4.713 0.04
H 2.939 4.017 4.448 0.07
H 3.729 1.994 2.465 0.08
H 4.447 3.523 2.064 0.11
H 1.924 4.414 2.546 0.11
H 2.071 1.528 0.892 0.04
H 0.001 3.546 2.999 0.03
H 1.376 -0.412 1.140 0.10
H -2.633 -1.833 1.325 -0.03
H -0.931 -3.544 2.353 0.08
H 1.256 -2.677 0.507 0.07
H 2.460 -1.659 3.108 0.13
H 3.064 -0.154 2.345 0.11
H 4.426 -0.125 4.065 0.13
H 3.130 0.709 4.842 0.09
C 1.299 -2.423 -3.824 -1.51
Cl 2.421 -1.101 -3.526 0.56
Cl 0.743 -2.392 -5.498 0.52
Cl 2.055 -3.984 -3.461 0.50
H 0.446 -2.302 -3.169 0.02
C -7.443 4.962 4.622 -1.56
Cl -8.977 4.533 5.381 0.53
Cl -7.635 6.383 3.589 0.54
Cl -6.197 5.232 5.832 0.55
H -7.135 4.138 3.997 -0.03
C 4.346 -2.482 -6.703 -1.55
Cl 5.464 -1.198 -6.242 0.54
Cl 3.916 -2.363 -8.408 0.51
Cl 5.028 -4.067 -6.336 0.52
H 3.441 -2.364 -6.121 -0.06
C 0.462 5.152 -3.990 -1.56
Cl -0.822 4.759 -2.866 0.49
Cl 1.570 6.341 -3.298 0.52
Cl 1.338 3.702 -4.489 0.51
H 0.017 5.587 -4.874 -0.04
C 1.989 -6.254 -8.829 -1.55
Cl 3.356 -5.833 -9.863 0.53
Cl 2.390 -7.647 -7.818 0.52
Cl 1.489 -4.894 -7.841 0.49
H 1.163 -6.536 -9.467 -0.01
C -6.306 10.244 3.614 -1.56
Cl -5.332 10.210 2.146 0.53
Cl -5.362 10.834 4.981 0.52
Cl -7.755 11.226 3.384 0.51
H -6.620 9.233 3.836 -0.03
C 3.968 -11.597 -8.275 -1.55
Cl 3.460 -10.796 -9.761 0.52
Cl 4.751 -10.461 -7.178 0.53
Cl 2.599 -12.377 -7.481 0.53
H 4.688 -12.360 -8.535 0.01
C 2.591 -9.132 -4.424 -1.58
Cl 1.195 -10.159 -4.086 0.52
Cl 2.263 -7.464 -3.971 0.51
Cl 4.027 -9.746 -3.603 0.52
........
(Dammit, i was hoping for the D-Man right up until Kylie knocked him off the edge... OK, it was obvious Max whoever-it-was was going to be the bad guy, but the Max face could have been a mask...)
Next to the article, the page also holds records of molecules:
/*
# 1
*/
OK, i've always had very ambiguous feelings about the disabled characters (and actors) in Who. Davros had a kind of... grungy, schlocky, pseudo-epic kind of oldschoolhooror melodrama to him that made him transcend the bitter-crip-villain archetype a bit, and also i liked the fact that, unlike so many other disabled or disfigured characters in sci-fi, he wasn't rebuilt into something more physically powerful than he was before, a la Darth Vader, Robocop, etc, but remained disabled relative to normal humans and physically vulnerable, while still displaying the classic supervillain ability to survive near-certain death on multiple occasions - but the increasing numbers of knockoffs of him following the same lazy cliches, and with pettier and pettier motivations, just seems to suggest to me that it has become nothing more than a very dull, not to mention potentially offensive, stereotype (with its corresponding tragic-sacrificial-hero stereotype in little red alien guy doing his redemptive Vader thing).
_Unrelated to this entry: records of molecules_
********
Computed, not measured: a structure of composition C18H37As3AuN3O2Se, with ωB97M-V with the def2-TZVPD basis set.

Geometry (Å):
Au -0.07 -0.21 0.30
C 3.46 -1.41 0.16
As 2.31 0.13 0.19
C 2.67 1.03 -1.47
C 2.97 1.42 1.47
C 2.93 1.15 2.98
C 3.75 2.28 3.62
C 1.49 1.29 3.49
As 0.10 0.18 2.72
C 0.10 -1.60 3.43
C -1.54 0.99 3.30
C 3.55 -0.21 3.33
As 4.22 -0.48 5.21
C 2.70 -1.43 6.00
C 5.26 -2.07 4.76
H 3.29 -2.07 1.00
H 4.48 -1.02 0.18
H 3.29 -1.95 -0.77
H 3.71 1.37 -1.43
H 2.02 1.89 -1.59
H 2.54 0.34 -2.30
H 2.42 2.34 1.24
H 4.01 1.58 1.17
H 3.43 3.25 3.24
H 4.81 2.16 3.41
H 3.63 2.29 4.70
H 1.13 2.31 3.32
H 1.44 1.12 4.57
H 0.15 -1.53 4.51
H 0.95 -2.17 3.05
H -0.82 -2.07 3.11
H -1.49 1.06 4.39
H -2.37 0.36 3.00
H -1.64 1.98 2.87
H 4.47 -0.33 2.74
H 2.90 -1.04 3.05
H 1.87 -0.76 6.20
H 3.03 -1.82 6.96
H 2.38 -2.27 5.39
H 6.15 -1.79 4.20
H 4.67 -2.79 4.19
H 5.58 -2.55 5.69
C -4.84 1.06 1.00
O -4.05 1.66 -0.05
C -2.81 1.26 -0.19
O -2.28 0.41 0.54
N -2.21 1.88 -1.23
N -0.91 1.52 -1.60
H -5.80 1.55 0.94
H -4.38 1.24 1.97
H -4.94 -0.01 0.82
H -2.77 2.46 -1.83
H -0.36 2.36 -1.71
H -0.93 1.02 -2.49
Se -1.09 -2.33 -0.49
C 0.25 -3.71 -0.31
C 0.02 -4.78 0.53
C 1.00 -5.76 0.63
N 2.14 -5.74 -0.05
C 2.33 -4.72 -0.89
C 1.42 -3.68 -1.06
H -0.89 -4.88 1.11
H 0.85 -6.61 1.29
H 3.25 -4.74 -1.46
H 1.59 -2.91 -1.79

Calculated values
Total charge: +2
Relative energy (zero: lowest compared OMol25 entry of this formula, charge and spin), kcal per mole: 33.0
Orbital gap (alpha / beta), hartree: 0.19160 / 0.19623
E_HOMO (alpha / beta), eV: -13.62 / -13.64

Here are the Löwdin charges for atoms 1 to 2, given in e: atom 1 (Au): 0.456, atom 2 (C): -0.226
********
_The entry goes on_
Anyway, digression. I liked the blatant homage to both the second and third Alien films jammed into one scene. First obvious Alien(s) reference in Dr Who? I liked the vaguely Douglas Adams-ish feel of it (didn't Adams write or co-write some project that was loosely based on the "Titanic in space" idea?). I actually think Tennant Doctor might be better at comedy/parody Who than "serious" sci-fi Who. I actually liked Kylie's acting (she felt more like an old-school Who companion than like a Rose or Martha substitute). It would have been good for the Doctor to have had a not-from-present-day-Earth companion IMO. I liked the whole thing where they landed on Earth and it wasn't even certain what era it was (could have been taken over by the Daleks/Cybermen/Autons/whoever, or everyone killed in some mysterious space plague, or anything), and then the explicit referencing of previous episodes.
Still, i'm not sure whether or not for me the good stuff was overwhelmed by the ungood stuff. Meh. They could have at least trashed Buckingham Palace as they flew over it...
But, the trailers... Mummies? Vampires? Ood again? Someone trapping or controlling Ood? Could be interesting - wonder if there's going to be a link drawn between Pyramids of Mars and The Satan Pit? |